Wanted =
What is needed: repeat the data below without altering anything.
Input =
┌──
A 4-piece molecular cluster, C16H32O4 overall, computed with ωB97M-V with the def2-TZVPD basis set.

**Gap between HOMO and LUMO**: 10.019 eV
**HOMO level**: -9.3 eV
**Energy relative to the best compared isomer or geometry (same formula, charge and spin)**: 18.5 kJ/mol
**Total charge**: 0

Last column: Mulliken charge in e.
Element x y z (Å)
C -5.840348 -4.726688 15.337131  -0.057
C -6.183752 -3.696306 14.265222  -0.317
C -6.636772 -4.561520 13.091196  -0.343
O -7.160161 -5.766586 13.648498  -0.426
C -6.908005 -5.800702 15.047445  -0.557
H -5.993823 -4.327683 16.341706  0.480
H -4.827107 -5.126460 15.300771  -0.281
H -5.414138 -2.980581 13.974090  0.125
H -7.015396 -3.100644 14.654276  0.322
H -5.787912 -4.845630 12.461513  0.127
H -7.374269 -4.040394 12.478777  0.357
H -6.559221 -6.791479 15.335030  0.327
H -7.820073 -5.557585 15.602763  0.289
C -3.466705 -8.560051 10.594935  -0.517
C -4.299545 -8.146313 11.801986  -0.506
C -3.424051 -7.040989 12.466720  0.187
O -2.367076 -6.739972 11.578745  -0.397
C -2.645328 -7.310380 10.308333  -0.522
H -4.012254 -8.897935 9.710657  0.349
H -2.809264 -9.408502 10.813872  0.248
H -4.499658 -8.967400 12.485686  0.386
H -5.248500 -7.706392 11.492911  0.197
H -2.991932 -7.391512 13.404342  0.151
H -4.043998 -6.169755 12.694876  -0.195
H -1.682394 -7.495231 9.831772  0.302
H -3.200660 -6.612827 9.665226  0.264
C -4.031643 0.266914 12.387940  -0.325
C -2.839328 0.319669 13.354417  0.054
C -1.758145 1.067616 12.539903  -0.550
O -2.099331 0.898679 11.177331  -0.393
C -3.508612 0.896863 11.087234  -0.463
H -4.870829 0.836462 12.796881  0.291
H -4.431568 -0.735232 12.238773  0.081
H -2.440433 -0.680510 13.538551  -0.259
H -2.955876 0.795467 14.325486  0.414
H -0.763426 0.644330 12.687799  0.322
H -1.681355 2.129822 12.809546  0.268
H -3.786050 0.332378 10.199204  0.335
H -3.893878 1.918501 10.979037  0.238
C 0.101881 -4.751148 15.719347  -0.519
C -0.828469 -3.524219 15.760953  -0.524
C -2.184900 -4.022509 15.266135  -0.292
O -2.019500 -5.384055 14.874613  -0.289
C -0.662472 -5.719234 14.804872  -0.546
H 0.220130 -5.160186 16.721522  0.238
H 1.079380 -4.503343 15.311918  0.302
H -0.426669 -2.686999 15.190162  0.227
H -0.930198 -3.138568 16.778086  0.326
H -2.491821 -3.472942 14.370181  0.149
H -2.952407 -3.977440 16.035688  0.281
H -0.305853 -5.627784 13.770637  0.290
H -0.488174 -6.748334 15.123905  0.346

Cartesian forces (eV/Å) of the 6 atoms listed first:
-0.3 -0.1 0.3
-0.2 0.1 0.0
0.3 0.0 0.2
-0.2 0.1 0.0
0.5 0.4 0.2
0.1 0.0 0.0

A 2-piece molecular cluster, CH3PS4 overall, computed with ωB97M-V with the def2-TZVPD basis set.

**Gap between HOMO and LUMO (alpha / beta)**: 5.259 / 7.669 eV
**HOMO level (alpha / beta)**: -7.2 / -8.5 eV
**Energy relative to the best compared isomer or geometry (same formula, charge and spin)**: 303.1 kJ/mol
**Total charge**: 0

Last column: Mulliken charge in e.
Element x y z (Å)
C 0.862497 -0.897258 0.025740  -0.110
P 1.135634 0.317339 -1.454866  0.078
S 2.150541 -0.435123 1.166889  -0.071
S 2.911933 0.637725 -0.397117  -0.110
S -2.653761 0.445800 -0.126639  -0.067
S -1.414437 1.446835 0.924547  -0.098
H -0.108796 -0.465134 0.491001  -0.181
H 0.893490 -2.056444 -0.073681  0.383
H -3.777097 1.006264 -0.555876  0.176

Cartesian forces (eV/Å) of the 6 atoms listed first:
-2.3 -0.6 0.1
0.2 -1.2 1.1
0.5 0.0 0.4
0.8 0.9 -0.6
0.2 -2.7 -0.8
0.0 1.5 0.5

Number 1: largest force on an atom 1.28 eV Å⁻¹. Number 2: largest force on an atom 2.77 eV Å⁻¹.

=====

# 1
Here is an isolated molecule of C6H11N at a distorted geometry from the Open Molecules 2025 dataset. Energies are from ωB97M-V/def2-TZVPD.

CARTESIAN COORDINATES (ANGSTROEM)
C: 0.87 -0.11 1.79
N: 0.04 -0.92 0.93
C: -0.36 -0.54 -0.35
C: -0.93 0.66 -0.55
C: -1.80 1.44 0.39
C: 1.46 -0.72 -1.98
C: 0.32 -1.21 -1.52
H: 1.49 -0.76 2.40
H: 0.31 0.49 2.51
H: 1.55 0.52 1.20
H: 0.07 -1.89 1.20
H: -0.75 1.10 -1.52
H: -1.96 0.92 1.32
H: -2.74 1.69 -0.11
H: -1.34 2.41 0.61
H: 2.03 -1.20 -2.77
H: 1.90 0.18 -1.59
└──
Reply =
A 4-piece molecular cluster, C16H32O4 overall, computed with ωB97M-V with the def2-TZVPD basis set.

**Gap between HOMO and LUMO**: 10.019 eV
**HOMO level**: -9.3 eV
**Energy relative to the best compared isomer or geometry (same formula, charge and spin)**: 18.5 kJ/mol
**Total charge**: 0

Last column: Mulliken charge in e.
Element x y z (Å)
C -5.840348 -4.726688 15.337131  -0.057
C -6.183752 -3.696306 14.265222  -0.317
C -6.636772 -4.561520 13.091196  -0.343
O -7.160161 -5.766586 13.648498  -0.426
C -6.908005 -5.800702 15.047445  -0.557
H -5.993823 -4.327683 16.341706  0.480
H -4.827107 -5.126460 15.300771  -0.281
H -5.414138 -2.980581 13.974090  0.125
H -7.015396 -3.100644 14.654276  0.322
H -5.787912 -4.845630 12.461513  0.127
H -7.374269 -4.040394 12.478777  0.357
H -6.559221 -6.791479 15.335030  0.327
H -7.820073 -5.557585 15.602763  0.289
C -3.466705 -8.560051 10.594935  -0.517
C -4.299545 -8.146313 11.801986  -0.506
C -3.424051 -7.040989 12.466720  0.187
O -2.367076 -6.739972 11.578745  -0.397
C -2.645328 -7.310380 10.308333  -0.522
H -4.012254 -8.897935 9.710657  0.349
H -2.809264 -9.408502 10.813872  0.248
H -4.499658 -8.967400 12.485686  0.386
H -5.248500 -7.706392 11.492911  0.197
H -2.991932 -7.391512 13.404342  0.151
H -4.043998 -6.169755 12.694876  -0.195
H -1.682394 -7.495231 9.831772  0.302
H -3.200660 -6.612827 9.665226  0.264
C -4.031643 0.266914 12.387940  -0.325
C -2.839328 0.319669 13.354417  0.054
C -1.758145 1.067616 12.539903  -0.550
O -2.099331 0.898679 11.177331  -0.393
C -3.508612 0.896863 11.087234  -0.463
H -4.870829 0.836462 12.796881  0.291
H -4.431568 -0.735232 12.238773  0.081
H -2.440433 -0.680510 13.538551  -0.259
H -2.955876 0.795467 14.325486  0.414
H -0.763426 0.644330 12.687799  0.322
H -1.681355 2.129822 12.809546  0.268
H -3.786050 0.332378 10.199204  0.335
H -3.893878 1.918501 10.979037  0.238
C 0.101881 -4.751148 15.719347  -0.519
C -0.828469 -3.524219 15.760953  -0.524
C -2.184900 -4.022509 15.266135  -0.292
O -2.019500 -5.384055 14.874613  -0.289
C -0.662472 -5.719234 14.804872  -0.546
H 0.220130 -5.160186 16.721522  0.238
H 1.079380 -4.503343 15.311918  0.302
H -0.426669 -2.686999 15.190162  0.227
H -0.930198 -3.138568 16.778086  0.326
H -2.491821 -3.472942 14.370181  0.149
H -2.952407 -3.977440 16.035688  0.281
H -0.305853 -5.627784 13.770637  0.290
H -0.488174 -6.748334 15.123905  0.346

Cartesian forces (eV/Å) of the 6 atoms listed first:
-0.3 -0.1 0.3
-0.2 0.1 0.0
0.3 0.0 0.2
-0.2 0.1 0.0
0.5 0.4 0.2
0.1 0.0 0.0

A 2-piece molecular cluster, CH3PS4 overall, computed with ωB97M-V with the def2-TZVPD basis set.

**Gap between HOMO and LUMO (alpha / beta)**: 5.259 / 7.669 eV
**HOMO level (alpha / beta)**: -7.2 / -8.5 eV
**Energy relative to the best compared isomer or geometry (same formula, charge and spin)**: 303.1 kJ/mol
**Total charge**: 0

Last column: Mulliken charge in e.
Element x y z (Å)
C 0.862497 -0.897258 0.025740  -0.110
P 1.135634 0.317339 -1.454866  0.078
S 2.150541 -0.435123 1.166889  -0.071
S 2.911933 0.637725 -0.397117  -0.110
S -2.653761 0.445800 -0.126639  -0.067
S -1.414437 1.446835 0.924547  -0.098
H -0.108796 -0.465134 0.491001  -0.181
H 0.893490 -2.056444 -0.073681  0.383
H -3.777097 1.006264 -0.555876  0.176

Cartesian forces (eV/Å) of the 6 atoms listed first:
-2.3 -0.6 0.1
0.2 -1.2 1.1
0.5 0.0 0.4
0.8 0.9 -0.6
0.2 -2.7 -0.8
0.0 1.5 0.5

Number 1: largest force on an atom 1.28 eV Å⁻¹. Number 2: largest force on an atom 2.77 eV Å⁻¹.

=====

# 1
Here is an isolated molecule of C6H11N at a distorted geometry from the Open Molecules 2025 dataset. Energies are from ωB97M-V/def2-TZVPD.

CARTESIAN COORDINATES (ANGSTROEM)
C: 0.87 -0.11 1.79
N: 0.04 -0.92 0.93
C: -0.36 -0.54 -0.35
C: -0.93 0.66 -0.55
C: -1.80 1.44 0.39
C: 1.46 -0.72 -1.98
C: 0.32 -1.21 -1.52
H: 1.49 -0.76 2.40
H: 0.31 0.49 2.51
H: 1.55 0.52 1.20
H: 0.07 -1.89 1.20
H: -0.75 1.10 -1.52
H: -1.96 0.92 1.32
H: -2.74 1.69 -0.11
H: -1.34 2.41 0.61
H: 2.03 -1.20 -2.77
H: 1.90 0.18 -1.59